From the CEO – December 2019
Dear Clients,
At the close of the year and indeed the decade those of us in the risk and forecasting world are often asked for out ‘top picks’ for the coming year – those ‘surprises’ that nary a soul will see on the horizon and which will set the geopolitical risk world on its head (I realize I’m overstating this point), so that claims to superior insights will be indisputable.
We could do this and offer up our own list. And to some extent, our bullish and bearish calls in the ICRG Investir newsletter provide client guidance and recommendations based on our risk metrics.
To this extent, we have to entertain the prospects for US-China trade relations, and the outcome of Brexit even though those waters are infused with a little more predictability than was the case a year ago. But given the breadth of our data and the numerous forecasting points contained in each country’s risk profile, we are able to offer hundreds of forecasts and risk assessments each month.
Confining the enterprise to an annual list might be media savvy but our clients are more active, balancing portfolios and trading positions, or undertaking well-funded research to further explore the many unfolding dimensions of political and country risk.
As is the case monthly, I look for connections between what PRS/ICRG does and what has gone before, either in literature or in ‘events’ from the past. It’s a way of conceptualizing PRS ‘ work in a larger, historical context and, in so doing, underscores something that we all do when looking to the future and planning accordingly.
At the risk of sounding too affected, I must mention that Socrates was one of the first to second-guess commonly held beliefs, discerning those that are logical from those that were lacking a rational foundation, notwithstanding how comfortable they might be or whose interests they might serve. Thomas Aquinas’ Summa Theologica pushed Socrates’ tenants further, joining reason to thought, which was later expanded to almost every dimension of human endeavor, from art to law, to notions of freedom, notably during the Renaissance of the 15th and 16th centuries. Finally, Rene Descartes – one of our favorites – developed a way of thinking critically based on the principle of systematic doubt so that almost every aspect of thought should was subjected to scrutiny and tested.
Underlying the discipline that these thinkers demanded is the possibility of an individual seeing more than what is accepted by the collectivity. We tend to focus on the Impressionists here, since not only it is one of our favorites in the art world but the artists that were part of that group were rejected by French Académie and denied a place in the salon. The reasons for the dismissal were myriad, ranging from the apparent lack of technical discipline, to the subject matter, and indeed to the place (outdoors) where some of the work was conceived.
It wasn’t until the French art dealer Paul Durand-Ruel came around that the movement gained an advocate. Durand-Ruel pressed tirelessly to have Impressionist works displayed and accepted, even pushing himself to the verge of bankruptcy several times in doing so. Eventually, Paul succeeded. But he did so not in France but via the Americans, who were much less encumbered by accepted wisdom and the like. As the dealer now famously reflected once his quest for acceptance was over: it was the ‘open-mindedness’ of the American public – which ‘does not laugh [but] buys.’ The French public followed.
The quant-driven approach in which PRS’ makes its risk assessments and forecasts is not far from the historical antecedents mentioned above. Relying on risk bands and qualifying criteria, our approach works to free the mind from bias and the popular opinions that often surrounds the thinking of the ‘crowd.’ It allows us to accept outcomes not entirely fashionable. It removes us from the collection of the ‘talking heads’ or the ‘chat therapists’; and it allows us – via our risk metrics and the Type 2 errors that they all embody – to join together elements of the political risk puzzle, accept the momentum that is often discovered in a risk event, and turn it into actionable advice for our clients.
Turning quickly to some of the highlights from December’s ratings, in the Americas, prices are diving in Ecuador, FX reserves are trending lower, and protests among indigenous peoples continue. In Honduras, efforts to combat corruption suffered a setback but the risk Civil Disorder eased slightly as security forces have been beefed-up.
In Western Europe, the second longest strike in France’s history continues as Macron’s overall approval rating eases. Consumer confidence falls slightly, too. Watch for Macron’s New Year’s address for clues as to a possible way out.
In Africa, the authorities in Cameroon passed a “Special status” law for the Anglophone regions but the opposition continues to demand a truly federal system. Second round voting in Guinea Bissau is too close to call. But with incumbent Vaz effectively removed from the race, overall stability is expected to improve regardless of which candidate assumes the presidency. ECOWAS plays an important stabilizing role this time, militating against coup.
Over in Asia, easing growth concerns and worries over diminishing oil reserves in Brunei have adjusted that country’s risk profile upward (less risk). Consumer confidence in Indonesia popped this month, and the government has introduced measures to reduce Islamic extremism and allow greater input from civil society.
Highlighting Eastern Europe this month is Ukraine, where external debt levels have moved higher as authorities are looking for a 3-year EFF from the IMF to the tune of around $6bn. “Improved” relations with Russia as new gas transit deal comes about and as ceasefire arrangement in agreed upon. Consumer confidence remains relatively high and geopolitical risk has been reduced considerably.
Finally, in the Middle East, protests in Iraq continue as the PM resigns, and the Iranian embassy is torched. Socio-economic inequality has widened, as competitive elections (sans parties) are demanded. Iraq has now fallen back into the “Extreme High Risk” category.
We would like to welcome some new clients this month, including the Ministry of Economy and Sustainable Development (Republic of Georgia), the German Office of Military Sciences Library, UAE University, and National Cheng Kung University (Taiwan). We’d also like to welcome back to the PRS family: Piraeus Bank, DBS Bank, OPIC, China Export and Trade Insurance Company, Baylor University and Columbia University, to name a few. Thank you so much for your (longstanding) support!!
Clients should note that I will be in Miami in mid-January, for client meetings and to attend the regional meetings of the Emerging Markets Traders’ Association. I will also be putting the finishing touches on data partnership agreements with a well-known Geneva/UK-based asset manager, and a UK-based data provider so that PRS’ political and country risk products is served up alongside the world’s most comprehensive offering of global corporate actions and dividend payments, new and pending IPOS, fixed income data, and equity analytics, among other items.
Our data is now the world’s leading quant-driven geopolitical risk data, used by investors with over $20 trillion in assets under management.
The page is interrupted by crystal structures:
********
Material: TaNb2Ga3
Method: DFT, PBE-GGA
State: relaxed

Computed properties:
Its total energy is -6.936 eV per atom. As for the space group: Cmmm. For the formation energy, the calculation gives -0.09 eV per atom.

a = 5.612 Å, b = 7.712 Å, c = 7.712 Å
α = 143.06°, β = 90.00°, γ = 90.00°
Element x y z (fractional)
Ta  0.720  0.000  0.000
Ta  0.220  0.000  0.000
Nb  0.720  0.333  0.666
Nb  0.220  0.334  0.667
Nb  0.220  0.667  0.334
Nb  0.720  0.666  0.333
Ga  0.470  0.167  0.833
Ga  0.970  0.167  0.833
Ga  0.470  0.500  0.500
Ga  0.970  0.500  0.500
Ga  0.970  0.833  0.167
Ga  0.470  0.833  0.167

Material: SrBNO2
Method: DFT, PBE-GGA
State: relaxed

Computed properties:
Its total energy is -3.794 eV per atom. As for the space group: P4/mmm. The value obtained for the formation energy from raw total energies is 1.526 eV/atom.

a = 4.642 Å, b = 4.642 Å, c = 5.023 Å
α = 90.00°, β = 90.00°, γ = 90.00°
Each line ends with the local moment (μB).
Element x y z (fractional)
Sr  0.000  0.000  0.000  0.03
B  0.500  0.500  0.500  -0.04
O  0.000  0.500  0.000  0.09
O  0.500  0.000  0.000  0.09
N  0.000  0.000  0.500  1.60

Material: KLiZn2Au
Method: DFT, PBE-GGA
State: relaxed

Computed properties:
Its total energy is -1.908 eV per atom. As for the space group: P4/mmm. For the formation energy, the calculation gives -0.14 eV per atom.

a = 5.012 Å, b = 5.012 Å, c = 5.141 Å
α = 90.00°, β = 90.00°, γ = 90.00°
Element x y z (fractional)
Zn  0.000  0.500  0.000
Zn  0.500  0.000  0.000
Au  0.000  0.000  0.000
K  0.500  0.500  0.500
Li  0.000  0.000  0.500

* * * * *

Entry 1:
Computed, not measured: a relaxed InNi2Te crystal at the GGA-PBEsol level of DFT.

## Properties
Relative energy among the computed polymorphs: 0.0 meV/atom
Magnetic moment: 0.000 μB/atom
Formation energy (no corrections): 0 meV/atom

Geometry as CIF:
```
data_InNi2Te
_chemical_formula_sum 'In1 Ni2 Te1'
_symmetry_space_group_name_H-M 'P 4 m m'
_symmetry_Int_Tables_number 99
_cell_length_a 3.296
_cell_length_b 3.296
_cell_length_c 6.496
_cell_angle_alpha 90.00
_cell_angle_beta 90.00
_cell_angle_gamma 90.00
loop_
_symmetry_equiv_pos_as_xyz
'x,y,z'
'-y,x,z'
'-x,-y,z'
'y,-x,z'
'-x,y,z'
'y,x,z'
'x,-y,z'
'-y,-x,z'
loop_
_atom_site_label
_atom_site_fract_x
_atom_site_fract_y
_atom_site_fract_z
In1 0.000 0.000 0.000
Ni1 0.000 0.000 0.403
Ni2 0.500 0.500 0.190
Te1 0.500 0.500 0.570
```

***

Entry 2:
Computed, not measured: a relaxed InNi3Te crystal at the GGA-PBEsol level of DFT.

## Properties
Magnetic moment: 0.000 μB/atom
Formation energy (no corrections): 1005 meV/atom

Geometry as CIF:
```
data_InNi3Te
_chemical_formula_sum 'In1 Ni3 Te1'
_symmetry_space_group_name_H-M 'P m -3 m'
_symmetry_Int_Tables_number 221
_symmetry_space_group_name_Hall '-P 4 2 3'
_cell_length_a 4.588
_cell_length_b 4.588
_cell_length_c 4.588
_cell_angle_alpha 90.00
_cell_angle_beta 90.00
_cell_angle_gamma 90.00
loop_
_atom_site_label
_atom_site_fract_x
_atom_site_fract_y
_atom_site_fract_z
In1 0.000 0.000 0.000
********
Here the page continues:
Finally, the academics and practitioners continue to use our data in very interesting ways with some very interesting results. For example, investors have long used our ICRG index as a proxy for ‘institutional quality’ in pricing bond spreads in developed and emerging markets, and as guidance in forecasting emerging market currencies.
Similarly, researchers at the IMF recently used our ICRG risk indices to divide ‘safe’ country borrowers from riskier ones in finding that higher funding costs following an exogenous monetary tightening leads to a significant decline in cross-border bank lending.
Have a safe New Year’s Eve, and welcome to a new decade!
Chief Executive

Moving beyond current opinions, a seasoned look into the most pressing issues affecting geopolitical risk today.